Cedilla under C (ç) in 'US international with dead keys' keyboard layout in Linux



I prefer to use US international with dead keys keyboard layout in order to get Latin diacritics for characters like é, è, à, etc in Libreoffice in Linux Mint.

On this layout characters like ´, `, ^, " are dead keys (clicked once do nothing) that can be pressed before other letters in order to get these signs.

' with a gives á
` with a gives à
" with a gives ä

etc, but

' with c gives ć

<<<
DFT (PBE) results for a relaxed structure of MgFeCuS2.

As for the crystal system: monoclinic. The calculation puts the formation energy at -435 meV/atom. Its polymorph energy (0 for the lowest one) is 205.8 meV/atom. The magnetic moment is 1.0 μB per formula unit.

a = 3.4158 Å, b = 3.4158 Å, c = 7.9139 Å
α = 102.55°, β = 102.55°, γ = 60.01°
Fractional coordinates of all 5 atoms:
1 Mg 0.0000 0.0000 0.0000
2 Fe 0.1324 0.1324 0.3981
3 Cu 0.2492 0.2492 0.7466
4 S 0.4119 0.4119 0.2381
5 S 0.8495 0.8495 0.5485

***

DFT (PBE) results for a relaxed structure of LaYMg6.

The calculation puts the formation energy at -43 meV/atom. Its polymorph energy (0 for the lowest one) is 61.8 meV/atom. The magnetic moment is 0.0 μB per formula unit.

a = 5.0247 Å, b = 8.4213 Å, c = 10.0644 Å
α = 90.00°, β = 90.00°, γ = 90.00°
Fractional coordinates of all 16 atoms:
1 Y 0.5000 0.0000 0.8694
2 Y 0.5000 0.5000 0.3694
3 Mg 0.0000 0.5000 0.6242
4 Mg 0.0000 0.2619 0.3802
5 Mg 0.5000 0.2562 0.6218
6 Mg 0.0000 0.7381 0.3802
7 Mg 0.0000 0.0000 0.6260
8 Mg 0.0000 0.2381 0.8802
9 Mg 0.5000 0.2438 0.1218
10 Mg 0.0000 0.5000 0.1260
11 Mg 0.0000 0.0000 0.1242
12 Mg 0.5000 0.7562 0.1218
13 Mg 0.0000 0.7619 0.8802
14 Mg 0.5000 0.7438 0.6218
15 La 0.5000 0.0000 0.3764
16 La 0.5000 0.5000 0.8764

***

DFT (PBE) results for a relaxed structure of UCdO4.

As for the crystal system: orthorhombic. The calculation puts the formation energy at -2919 meV/atom. Its polymorph energy (0 for the lowest one) is 0.0 meV/atom.

a = 5.0240 Å, b = 5.0240 Å, c = 3.5268 Å
α = 90.00°, β = 90.00°, γ = 92.03°
Fractional coordinates of all 6 atoms:
1 U 0.0000 0.0000 0.0000
2 Cd 0.5000 0.5000 0.5000
3 O 0.1759 0.8241 0.5000
4 O 0.2829 0.2829 0.0000
5 O 0.7171 0.7171 0.0000
6 O 0.8241 0.1759 0.5000

***

DFT (PBE) results for a relaxed structure of ScIr3.

As for the crystal system: cubic. The calculation puts the formation energy at -621 meV/atom.

a = 3.9490 Å, b = 3.9490 Å, c = 3.9490 Å
α = 90.00°, β = 90.00°, γ = 90.00°
Fractional coordinates of all 4 atoms:
1 Sc 0.0000 0.0000 0.0000
2 Ir 0.0000 0.5000 0.5000
3 Ir 0.5000 0.0000 0.5000
4 Ir 0.5000 0.5000 0.0000

***

DFT (PBE) results for a relaxed structure of KMg15.

As for the crystal system: hexagonal. The calculation puts the formation energy at 101 meV/atom. The magnetic moment is 0.0 μB per formula unit.

a = 6.5893 Å, b = 6.5893 Å, c = 10.4875 Å
α = 90.00°, β = 90.00°, γ = 120.00°
Fractional coordinates of all 16 atoms:
1 K 0.0000 0.0000 0.0000
2 Mg 0.0000 0.0000 0.5000
3 Mg 0.0029 0.5015 0.5000
4 Mg 0.3333 0.6667 0.2474
5 Mg 0.3333 0.6667 0.7526
6 Mg 0.3431 0.1715 0.2632
7 Mg 0.3431 0.1715 0.7368
8 Mg 0.4985 0.5015 0.5000
9 Mg 0.4985 0.9971 0.5000
10 Mg 0.5033 0.0067 0.0000
11 Mg 0.5033 0.4967 0.0000
12 Mg 0.8285 0.1715 0.2632
13 Mg 0.8285 0.1715 0.7368
14 Mg 0.8285 0.6569 0.2632
15 Mg 0.8285 0.6569 0.7368
16 Mg 0.9933 0.4967 0.0000

***

DFT (PBE) results for a relaxed structure of Cs2HgCl4.
>>>
### The materials data stop here

Can I get ç in this layout in Linux?

In Windows I do not have 'US international with dead keys' but only 'US international' which seems identical, only there dead-key ' with c gives ç (in both MSOffice and LibreOffice), which I think is the expected behavior.

I had imagined this might be a all-around system-level problem in Linux. But this keyboard layout (mentioned in a comment by user BramMooij under this question) can produce in Linux the cedilla under C (Ç) with AltGr-c.


Posted 2016-05-12T09:11:07.603


1Can't test specifically for US keyboard, but for me on International Eng simply alt/c gives ç - no dead key required – Tetsujin – 2016-05-12T09:20:19.163

@Tetsujin - do you have the other diacritics in that layout, all the other French letters? Take a look at my other question please: http://superuser.com/q/1075998/162573

– None – 2016-05-12T09:23:05.560

@Tetsujin - I'm afraid this is OS and application specific. I will update the question and give all details (about Linux). In Windows with MSOffice 2013 things are different. – None – 2016-05-12T09:30:26.363

That was the conclusion I was coming to too - your dead keys are totally different to mine. Mine are e,u,i,n and for ´ ¨ ^and ~ – Tetsujin – 2016-05-12T09:31:16.213

@Tetsujin - this is because of the different keyboard layouts. – None – 2016-05-12T09:32:42.390

Potentially , and c might work. – Aganju – 2016-05-12T10:25:11.130

@Aganju - , is not a dead key in US-International with dead keys – None – 2016-05-12T11:09:24.853

@Aganju - I want to give you credit for your comments that made me look deeper into this matter, and finally found it. I'll post as answer what I found. – None – 2016-05-12T14:25:56.820



The key combination for ç in US international with dead keys layout was there all along, but unlike the other Latin diacritics it does not involve a dead key:



enter image description here


Posted 2016-05-12T09:11:07.603



It's because the cedilla module isn't loaded by default when the locale is set to en, so you have to change the configuration files for gtk to add them:

1. Edit configuration files:

sudo vim /usr/lib/x86_64-linux-gnu/gtk-3.0/3.0.0/immodules.cache

sudo vim /usr/lib/x86_64-linux-gnu/gtk-2.0/2.10.0/immodules.cache

On both, find the lines starting with "cedilla" "Cedilla" and add :en to the line. Something like this:

"cedilla" "Cedilla" "gtk30" "/usr/share/locale" "az:ca:co:fr:gv:oc:pt:sq:tr:wa:en"

2. Change the Compose file:

sudo sed -i /usr/share/X11/locale/en_US.UTF-8/Compose -e 's/ć/ç/g' -e 's/Ć/Ç/g'

3. Instruct the system to load the cedilla module:

Add those lines to /etc/environment:


Reboot and you are done.


Posted 2016-05-12T09:11:07.603

Reputation: 542

Thank you so much! Also, I cross posted your answer on AskUbuntu: https://askubuntu.com/questions/30655/what-keyboard-layout-allows-me-to-type-%c3%a7/1113491#1113491 LMK if you want to post it yourself so I can remove my answer :)!

– Jhuliano Moreno – 2019-01-28T10:22:58.687

1THANK YOU THANK YOU THANK YOU THANK YOU!!!!!!!!!!!!!!!!!!!!!!!!!!!!!!! – Felipe D. – 2019-07-17T02:56:47.520

After some updates on the OS, this workaround stops working. Are there any permanent ways that aren't affected by updates? – Luciano – 2019-08-09T20:25:11.937

There's no workaround that I know. As the changed files are part of the OS, any update will overwrite the files. You can create a bash script to alter the files again, so when you update, you can run the script again and change the files again. – ThoriumBR – 2019-08-09T20:35:05.130


If you like me don't have a AltGr button in your keyboard, try the following:

Right Alt + ,

Gabriel Ziegler

Posted 2016-05-12T09:11:07.603

Reputation: 113